# Listing
<<<
[1]
# Ac2ErRh3O12
Calculated powder diffraction line list, CuKα. Input: a structure optimized by DFT (GGA-PBE).
No peak broadening, texture or thermal motion is included.

Crystal structure
```
data_Ac2ErRh3O12
_cell_length_a 7.1741
_cell_length_b 7.1741
_cell_length_c 16.0311
_cell_angle_alpha 90.00
_cell_angle_beta 90.00
_cell_angle_gamma 120.00
_space_group_name_H-M_alt 'R -3 m'
_space_group_IT_number 166
_space_group_name_Hall '-R 3 2"'
loop_
_atom_site_label
_atom_site_fract_x
_atom_site_fract_y
_atom_site_fract_z
Ac1 0.0000 0.0000 0.1138
Er1 0.0000 0.0000 0.5000
Rh1 0.0000 0.5000 0.0000
O1 0.0473 0.5236 0.8797
O2 0.0575 0.5288 0.3043
```

The 12 most intense peaks (2θ from 15° to 90°), in order of rising 2θ:
- 24.82°, I = 59, hkl 1 1 0
- 26.47°, I = 33, hkl 1 0 4
- 29.28°, I = 55, hkl 0 2 1
- 30.00°, I = 100, hkl 1 1 3
- 30.87°, I = 40, hkl 2 0 2
- 31.40°, I = 60, hkl 0 1 5
- 47.06°, I = 30, hkl 0 3 3
- 48.02°, I = 43, hkl 1 2 5
- 50.91°, I = 48, hkl 2 2 0
- 54.49°, I = 27, hkl 2 0 8
- 61.05°, I = 22, hkl 3 1 5
- 71.84°, I = 17, hkl 4 1 3

[2]
# Ac2ErRhO6
Calculated powder diffraction line list, CuKα. Input: a structure optimized by DFT (GGA-PBE).
No peak broadening, texture or thermal motion is included.

Crystal structure
```
data_Ac2ErRhO6
_cell_length_a 5.8010
_cell_length_b 8.3327
_cell_length_c 6.0503
_cell_angle_alpha 90.00
_cell_angle_beta 90.00
_cell_angle_gamma 90.00
_space_group_name_H-M_alt 'P m m n'
_space_group_IT_number 59
loop_
_space_group_symop_operation_xyz
'x,y,z'
'-x,-y,-z'
'-x+1/2,-y+1/2,z'
'x+1/2,y+1/2,-z'
'x+1/2,-y,-z'
'-x+1/2,y,z'
'-x,y+1/2,-z'
'x,-y+1/2,z'
loop_
_atom_site_label
_atom_site_fract_x
_atom_site_fract_y
_atom_site_fract_z
Ac1 0.2500 0.0192 0.2161
Er1 0.2500 0.2500 0.7220
Rh1 0.2500 0.7500 0.7714
O1 0.9999 0.2500 0.9934
O2 0.0052 0.2500 0.4584
O3 0.2500 0.5060 0.7851
```

The 12 most intense peaks (2θ from 15° to 90°), in order of rising 2θ:
- 29.53°, I = 24, hkl 0 0 2
- 30.26°, I = 100, hkl 1 2 1
- 30.83°, I = 26, hkl 2 0 0
- 43.21°, I = 25, hkl 2 0 2
- 43.44°, I = 13, hkl 0 4 0
- 52.85°, I = 16, hkl 1 2 3
- 53.40°, I = 8, hkl 0 4 2
- 54.21°, I = 9, hkl 2 4 0
- 54.47°, I = 20, hkl 3 2 1
- 62.94°, I = 14, hkl 2 4 2
- 71.25°, I = 7, hkl 3 2 3
- 71.58°, I = 7, hkl 1 6 1

[3]
# AcErSbO2
Calculated powder diffraction line list, CuKα. Input: a structure optimized by DFT (GGA-PBE).
No peak broadening, texture or thermal motion is included.

Crystal structure
```
data_AcErSbO2
_cell_length_a 3.9937
_cell_length_b 3.9937
_cell_length_c 13.9698
_cell_angle_alpha 90.00
_cell_angle_beta 90.00
_cell_angle_gamma 90.00
_space_group_name_H-M_alt 'I 4 m m'
_space_group_IT_number 107
_space_group_name_Hall 'I 4 -2'
loop_
_atom_site_label
_atom_site_fract_x
_atom_site_fract_y
_atom_site_fract_z
Ac1 0.0000 0.0000 0.0000
Er1 0.0000 0.0000 0.3270
Sb1 0.0000 0.0000 0.6701
O1 0.0000 0.5000 0.3999
```

The 12 most intense peaks (2θ from 15° to 90°), in order of rising 2θ:
- 29.46°, I = 100, hkl 1 0 3
- 31.68°, I = 36, hkl 1 1 0
- 38.67°, I = 11, hkl 0 0 6
- 45.42°, I = 17, hkl 2 0 0
- 50.83°, I = 24, hkl 1 1 6
- 55.07°, I = 35, hkl 2 1 3
- 61.14°, I = 12, hkl 2 0 6
- 64.40°, I = 11, hkl 1 0 9
- 74.07°, I = 7, hkl 3 0 3
- 75.24°, I = 6, hkl 3 1 0
- 82.30°, I = 11, hkl 2 1 9
- 87.96°, I = 10, hkl 3 1 6

[4]
# Ac2ErTaO8
Calculated powder diffraction line list, CuKα. Input: a structure optimized by DFT (GGA-PBE).
No peak broadening, texture or thermal motion is included.

Crystal structure
```
data_Ac2ErTaO8
_cell_length_a 4.5014
_cell_length_b 7.1673
_cell_length_c 5.6002
_cell_angle_alpha 90.00
_cell_angle_beta 93.71
_cell_angle_gamma 90.00
_space_group_name_H-M_alt 'P 1 2/m 1'
_space_group_IT_number 10
loop_
_space_group_symop_operation_xyz
'x,y,z'
'-x,-y,-z'
'-x,y,-z'
'x,-y,z'
loop_
_atom_site_label
_atom_site_fract_x
_atom_site_fract_y
_atom_site_fract_z
Ac1 0.0000 0.2470 0.0000
Er1 0.5000 0.5000 0.5000
Ta1 0.5000 0.0000 0.5000
O1 0.0635 0.0000 0.3814
O2 0.0781 0.5000 0.2588
O3 0.4559 0.2094 0.7325
```
>>>

# Brief
Find the line earlier on that holds "48.02°,", then restate that line and all lines after it there.

# Solution
- 48.02°, I = 43, hkl 1 2 5
- 50.91°, I = 48, hkl 2 2 0
- 54.49°, I = 27, hkl 2 0 8
- 61.05°, I = 22, hkl 3 1 5
- 71.84°, I = 17, hkl 4 1 3

[2]
# Ac2ErRhO6
Calculated powder diffraction line list, CuKα. Input: a structure optimized by DFT (GGA-PBE).
No peak broadening, texture or thermal motion is included.

Crystal structure
```
data_Ac2ErRhO6
_cell_length_a 5.8010
_cell_length_b 8.3327
_cell_length_c 6.0503
_cell_angle_alpha 90.00
_cell_angle_beta 90.00
_cell_angle_gamma 90.00
_space_group_name_H-M_alt 'P m m n'
_space_group_IT_number 59
loop_
_space_group_symop_operation_xyz
'x,y,z'
'-x,-y,-z'
'-x+1/2,-y+1/2,z'
'x+1/2,y+1/2,-z'
'x+1/2,-y,-z'
'-x+1/2,y,z'
'-x,y+1/2,-z'
'x,-y+1/2,z'
loop_
_atom_site_label
_atom_site_fract_x
_atom_site_fract_y
_atom_site_fract_z
Ac1 0.2500 0.0192 0.2161
Er1 0.2500 0.2500 0.7220
Rh1 0.2500 0.7500 0.7714
O1 0.9999 0.2500 0.9934
O2 0.0052 0.2500 0.4584
O3 0.2500 0.5060 0.7851
```

The 12 most intense peaks (2θ from 15° to 90°), in order of rising 2θ:
- 29.53°, I = 24, hkl 0 0 2
- 30.26°, I = 100, hkl 1 2 1
- 30.83°, I = 26, hkl 2 0 0
- 43.21°, I = 25, hkl 2 0 2
- 43.44°, I = 13, hkl 0 4 0
- 52.85°, I = 16, hkl 1 2 3
- 53.40°, I = 8, hkl 0 4 2
- 54.21°, I = 9, hkl 2 4 0
- 54.47°, I = 20, hkl 3 2 1
- 62.94°, I = 14, hkl 2 4 2
- 71.25°, I = 7, hkl 3 2 3
- 71.58°, I = 7, hkl 1 6 1

[3]
# AcErSbO2
Calculated powder diffraction line list, CuKα. Input: a structure optimized by DFT (GGA-PBE).
No peak broadening, texture or thermal motion is included.

Crystal structure
```
data_AcErSbO2
_cell_length_a 3.9937
_cell_length_b 3.9937
_cell_length_c 13.9698
_cell_angle_alpha 90.00
_cell_angle_beta 90.00
_cell_angle_gamma 90.00
_space_group_name_H-M_alt 'I 4 m m'
_space_group_IT_number 107
_space_group_name_Hall 'I 4 -2'
loop_
_atom_site_label
_atom_site_fract_x
_atom_site_fract_y
_atom_site_fract_z
Ac1 0.0000 0.0000 0.0000
Er1 0.0000 0.0000 0.3270
Sb1 0.0000 0.0000 0.6701
O1 0.0000 0.5000 0.3999
```

The 12 most intense peaks (2θ from 15° to 90°), in order of rising 2θ:
- 29.46°, I = 100, hkl 1 0 3
- 31.68°, I = 36, hkl 1 1 0
- 38.67°, I = 11, hkl 0 0 6
- 45.42°, I = 17, hkl 2 0 0
- 50.83°, I = 24, hkl 1 1 6
- 55.07°, I = 35, hkl 2 1 3
- 61.14°, I = 12, hkl 2 0 6
- 64.40°, I = 11, hkl 1 0 9
- 74.07°, I = 7, hkl 3 0 3
- 75.24°, I = 6, hkl 3 1 0
- 82.30°, I = 11, hkl 2 1 9
- 87.96°, I = 10, hkl 3 1 6

[4]
# Ac2ErTaO8
Calculated powder diffraction line list, CuKα. Input: a structure optimized by DFT (GGA-PBE).
No peak broadening, texture or thermal motion is included.

Crystal structure
```
data_Ac2ErTaO8
_cell_length_a 4.5014
_cell_length_b 7.1673
_cell_length_c 5.6002
_cell_angle_alpha 90.00
_cell_angle_beta 93.71
_cell_angle_gamma 90.00
_space_group_name_H-M_alt 'P 1 2/m 1'
_space_group_IT_number 10
loop_
_space_group_symop_operation_xyz
'x,y,z'
'-x,-y,-z'
'-x,y,-z'
'x,-y,z'
loop_
_atom_site_label
_atom_site_fract_x
_atom_site_fract_y
_atom_site_fract_z
Ac1 0.0000 0.2470 0.0000
Er1 0.5000 0.5000 0.5000
Ta1 0.5000 0.0000 0.5000
O1 0.0635 0.0000 0.3814
O2 0.0781 0.5000 0.2588
O3 0.4559 0.2094 0.7325
```